Lacybourne Manor(179)

“I think something like this may clash with the current décor of The Centre.” Colin grinned at him and gestured to a handsome, black leather chair in front of his enormous desk. Kyle sat and waited as Colin took his seat behind his desk. Then Colin enquired politely, “Do you want some coffee?”

“That’s nice of you but I don’t want to take up too much of your time. Need to be on my way soon anyhow.”

Colin sat back and regarded him carefully, wondering why he was there.

The he asked, “What’s on your mind?”

Kyle shifted and looked out the window behind Colin’s head and Colin saw, with interest, Kyle’s normal amiability slowly fade.

“Been asking around. Not good what happened to you and Billie last Friday.” His eyes moved back to Colin, the twinkle was gone and it was replaced by something very serious. “Got a boy on the estate, not a bad kid but he doesn’t hang around with a good crowd. Heard word he was talking about a friend of his who showed up at his place Friday night, arm busted.”

That got Colin’s attention and his back straightened.

“Yes?” he prompted.

“Me and a couple of…” He hesitated and stared at Colin assessingly then, deciding he trusted what he saw, he continued, “My boys paid him a visit. Seems this kid’s friend didn’t want to go to hospital. Eventually he passed out with the pain so the kid loaded him up, meaning to take him to Weston Hospital anyway. On the way there, his friend woke up and demanded he take him somewhere, anywhere, but Weston or Bristol. The kid took him down to some place in Exeter. His friend slipped away after getting treated. Our boy doesn’t know where he went.”

Colin clenched his teeth but nodded his head. He realised in that moment he’d vastly underrated the even-tempered Kyle.

“Another thing,” Kyle continued, “kid told us his friend said some woman owed him more considering his arm was broken. He said he was paid a load but not enough to get his arm busted.” He stopped and watched the muscle working in Colin’s jaw. “Thought you’d want to know.”

“Thank you,” was all Colin could manage to get out. It was Tamara, he knew and he was pleasantly contemplating wringing her skinny, alabaster neck.

“Haven’t told the police yet, figured you might want to do that, er… anonymous-like.”

Colin nodded again, easily catching his meaning. Kyle and “his boys” part in this drama was to remain a secret.

Obviously done with his errand, Kyle slapped his thighs, morphing straight back to his old, friendly self. “Well, that’s it. Got things to do.”

He stood and Colin joined him around the desk for another handshake but when it should have ended, Kyle’s hand tightened.

“We take care of our own,” he said in a low voice and stared Colin in the eye and the older man’s were sober. Then he dropped Colin’s hand. “We’re still lookin’.” Kyle told Colin. “We find out any more, we’ll let you know.”

Colin wrote his mobile and home phone numbers on the back of a business card and handed it to Kyle, making his meaning clear as he said quietly, “Please do that.”

The minute the door closed behind Kyle, Colin called Robert Fitzwilliam to relate the news.

Later in the afternoon, he called the alarm company ordering them to increase security at Lacybourne, including putting a panic button and warning light in his and Sibyl’s bedroom. He then called his housekeeper, Mrs. Manning, to tell her that he was changing all the codes and that he had guests who would be staying for an indefinite period of time.

~~~
Diffraction record for Nb2CdSiOs. The powder X-ray diffraction pattern is theoretical, not measured: it uses a structure optimized by DFT (PBE) and Cu Kα (λ = 1.5418 Å).
Kinematic intensities with the Lorentz-polarization factor, no thermal factor.

Main lines, in order of falling intensity (2θ from 15° to 90°):
d = 4.932 Å, intensity 100
d = 2.466 Å, intensity 64
d = 2.821 Å, intensity 58
d = 1.720 Å, intensity 42
d = 2.400 Å, intensity 30
d = 2.205 Å, intensity 26
d = 2.158 Å, intensity 24
d = 1.744 Å, intensity 22
d = 1.411 Å, intensity 22
d = 1.624 Å, intensity 20

Atomic structure:
```
Nb2CdSiOs
1.0
4.9315 0.0000 0.0000
0.0000 4.9315 0.0000
0.0000 0.0000 4.7991
Nb Cd Si Os
2 1 1 1
direct
0.0000 0.5000 0.0000
0.5000 0.0000 0.0000
0.0000 0.0000 0.0000
0.5000 0.5000 0.5000
0.0000 0.0000 0.5000
```


Theoretical X-ray diffraction stick pattern
Compound: Ca3Ta2O8
Radiation: CuKα
Structure: a structure optimized by DFT (PBE)
Neutral-atom scattering factors, no anomalous dispersion.

Atomic structure:
```
data_Ca3Ta2O8
_chemical_formula_sum 'Ca12 Ta8 O32'
_cell_length_a 10.034
_cell_length_b 8.855
_cell_length_c 9.211
_cell_angle_alpha 90.00
_cell_angle_beta 113.31
_cell_angle_gamma 90.00
_space_group_name_H-M_alt 'C 1 2/c 1'
_space_group_IT_number 15
loop_
_space_group_symop_operation_xyz
'x,y,z'
'-x,-y,-z'
'-x,y,-z+1/2'
'x,-y,z+1/2'
'x+1/2,y+1/2,z'
'-x+1/2,-y+1/2,-z'
'-x+1/2,y+1/2,-z+1/2'
'x+1/2,-y+1/2,z+1/2'
loop_
_atom_site_label
_atom_site_fract_x
_atom_site_fract_y
_atom_site_fract_z
Ca1 0.000 0.224 0.250
Ca2 0.170 0.066 0.001
Ta1 0.076 0.357 0.621
O1 0.021 0.421 0.111
O2 0.059 0.158 0.529
O3 0.123 0.312 0.856
O4 0.223 0.096 0.318
```

The 8 most intense peaks (2θ = 10–80°), low angle first:
(hkl), 2θ/deg, intensity
1 1 0, 13.87, 100
2 0 0, 19.26, 45
1 1 1, 19.58, 65
0 2 1, 22.67, 90
3 1 -1, 28.54, 35
3 1 -2, 30.14, 43
1 1 -3, 30.96, 61
2 2 1, 32.58, 46


The following is a theoretical XRD peak list of TcP4H36C12Br2. It was derived from a GGA-PBE-relaxed structure, using Cu Kα.

Main lines, by angle (2θ from 10° to 80°):
| 2θ (°) | intensity |
| --- | --- |
| 11.3 | 100 |
| 12.7 | 49 |
| 25.5 | 20 |
| 28.5 | 16 |
| 31.0 | 10 |
| 33.4 | 16 |
| 36.6 | 11 |
| 41.0 | 12 |

```
55
Lattice="-4.944 4.944 6.342 4.944 -4.944 6.342 4.944 4.944 -6.342" Properties=species:S:1:pos:R:3 pbc="T T T"
Tc 0.000 0.000 0.000
P 1.702 1.702 -0.357
P 3.242 -3.242 6.700
P 3.242 3.242 5.985
P -3.242 3.242 6.700
H 3.770 -0.454 0.872
H 6.882 1.757 -1.703
H 3.799 2.097 -1.576
H 5.753 -2.145 4.021
H 2.799 -0.808 2.321
H 6.119 0.454 0.872
H 3.188 -1.938 4.639
H 2.097 3.799 -1.576
H 7.090 0.808 2.321
H 1.687 -1.687 5.584
H 3.007 1.757 1.703
H 5.399 -1.174 5.470
H 6.090 2.097 1.576
H 3.257 3.257 0.758
H 1.757 3.007 1.703
H -0.454 3.770 0.872
H -0.808 2.799 2.321
H 2.847 1.146 4.766
H 2.847 -1.146 7.918
H 4.136 2.145 4.021
H 4.490 1.174 5.470
H 1.757 6.882 -1.703
H -1.687 1.687 5.584
H 1.146 2.847 4.766
H 0.454 6.119 0.872
H -1.938 3.188 4.639
H 1.687 1.687 7.100
~~~
• Here the page continues:

She asked for the new codes but he told her he would tell her in person when he next saw her, he wasn’t even going to trust his own damned phone line. She, strangely, pressed him but he flatly refused to divulge the information over the phone. He explained she’d have to wait, for the time being, to be let in by him, Sibyl or whoever else his mother or Mags dragged into their drama.

That evening he changed all the alarm codes and explained them and how to work the complicated system to the three women currently occupying Lacybourne. Then, upon seeing three uncomprehending faces, he explained them again. Then, when his mother bit her lip and Mags’s eyes shifted uneasily this way and that, he patiently explained it again.

He did not even want to consider what would happen when the new system he’d ordered was installed.

Preparing for bed, he exited the bathroom after brushing his teeth to see Sibyl sitting cross-legged on the bed wearing another one of his t-shirts. Apart from the fact that she loved him, which he found a vastly pleasurable experience the like of which he’d never known, the second thing he liked best about her was her new habit of wearing his t-shirts to bed. Not just that she did it, but the casual intimacy it evoked that she did.

Not to mention she looked utterly adorable sitting cross-legged close to the end of their bed, her face free of makeup, her fantastic, gleaming hair loose around her shoulders.

She broke him out of his reverie by saying, “Um… Colin?”

Someone pasted records of crystals at this point:
~~~
[1]
Diffraction record for Tm5Cu4Ni. The powder X-ray diffraction pattern is theoretical, not measured: it uses a DFT-relaxed cell (GGA-PBE, Alexandria) and Cu Kα.

Main lines, in order of falling intensity (2θ from 10° to 90°):
2θ/deg	Rel. int.	h k l
37.30	100	1 0 5
37.63	49	1 1 0
67.71	34	2 1 5
26.37	22	1 0 0
54.27	17	2 0 0
67.06	17	1 1 10
25.91	11	0 0 5
79.53	10	2 0 10
46.26	10	1 1 5
53.29	9	0 0 10

Crystal structure
a = 3.380 Å, b = 3.380 Å, c = 17.191 Å
α = 90.00°, β = 90.00°, γ = 90.00°
Space group P4/mmm (No. 123)
Symmetry-distinct sites (fractional):
Tm 0.000 0.000 0.000 [1 per cell]
Tm 0.000 0.000 0.203 [2 per cell]
Tm 0.000 0.000 0.405 [2 per cell]
Cu 0.500 0.500 0.101 [2 per cell]
Cu 0.500 0.500 0.303 [2 per cell]
Ni 0.500 0.500 0.500 [1 per cell]



[2]
Diffraction record for CeSmMgTc. The powder X-ray diffraction pattern is theoretical, not measured: it uses a DFT-relaxed cell (GGA-PBE, Alexandria) and Cu Kα.

Main lines, in order of falling intensity (2θ from 10° to 90°):
2θ/deg	Rel. int.	h k l
35.15	100	2 2 0
63.06	36	4 2 2
24.65	19	2 0 0
50.55	18	4 0 0
84.93	16	6 2 0
74.29	11	4 4 0
21.31	8	1 1 1
57.03	8	4 2 0
43.40	6	2 2 2
41.47	4	3 1 1

Crystal structure
a = 7.222 Å, b = 7.222 Å, c = 7.222 Å
α = 90.00°, β = 90.00°, γ = 90.00°
Space group F-43m (No. 216)
Symmetry-distinct sites (fractional):
Ce 0.000 0.000 0.000 [4 per cell]
Sm 0.000 0.000 0.500 [4 per cell]
Mg 0.250 0.250 0.250 [4 per cell]
Tc 0.250 0.250 0.750 [4 per cell]
~~~

The hesitant somewhat guilty tone of her voice tore all pleasant thoughts of Sibyl’s love and how adorable she was in his t-shirt out of his head.

What comes next are crystal structures, not part of the entry =
/*
1.
Diffraction record for Ba2LiP3Pd12. The powder diffraction line list is theoretical, not measured: it uses a PBE-relaxed structure and Cu Kα (weighted mean of Kα1 and Kα2).
No peak broadening, texture or thermal motion is included.

Most intense lines, 2θ from 10° to 90°, low angle first:
| 2θ (°) | I/Imax | (hkl) |
| --- | --- | --- |
| 24.2 | 51.1 | 0 2 1 |
| 25.9 | 20.8 | 2 0 2 |
| 31.8 | 100.0 | 0 2 4 |
| 35.7 | 67.4 | 2 0 5 |
| 38.1 | 14.0 | 1 1 6 |
| 39.3 | 13.7 | 0 3 3 |
| 41.4 | 81.8 | 2 2 0 |
| 44.6 | 30.9 | 0 2 7 |
| 48.6 | 36.0 | 0 0 9 |
| 53.2 | 24.8 | 4 0 4 |
| 65.7 | 38.9 | 2 0 11 |
| 69.6 | 14.6 | 2 4 4 |

Structural model:
```
data_Ba2LiP3Pd12
_cell_length_a 8.7143
_cell_length_b 8.7143
_cell_length_c 16.8541
_cell_angle_alpha 90.00
_cell_angle_beta 90.00
_cell_angle_gamma 120.00
_space_group_name_H-M_alt 'R -3 m'
_space_group_IT_number 166
_space_group_name_Hall '-R 3 2"'
loop_
_atom_site_label
_atom_site_fract_x
_atom_site_fract_y
_atom_site_fract_z
Ba1 0.0000 0.0000 0.1145
Li1 0.0000 0.0000 0.5000
P1 0.0000 0.5000 0.0000
Pd1 0.0120 0.5060 0.1318
Pd2 0.0621 0.5311 0.3146
```

***

2.
Diffraction record for La3SnBr3. The powder diffraction line list is theoretical, not measured: it uses a PBE-relaxed structure and Cu Kα (weighted mean of Kα1 and Kα2).
No peak broadening, texture or thermal motion is included.

Most intense lines, 2θ from 10° to 90°, low angle first:
| 2θ (°) | I/Imax | (hkl) |
| --- | --- | --- |
| 22.3 | 7.9 | 1 3 1 |
| 28.3 | 100.0 | 0 4 2 |
| 36.3 | 7.3 | 1 5 2 |
| 40.3 | 38.1 | 4 4 0 |
| 40.5 | 37.7 | 4 0 4 |
| 50.0 | 20.3 | 8 0 2 |
| 50.2 | 6.7 | 0 0 6 |
| 58.5 | 12.6 | 0 8 4 |
| 66.1 | 17.4 | 4 8 2 |
| 66.3 | 17.3 | 4 4 6 |
| 73.4 | 19.2 | 12 0 0 |
| 73.7 | 6.4 | 0 4 8 |

Structural model:
```
data_La3SnBr3
_cell_length_a 17.8856
_cell_length_b 17.8856
_cell_length_c 10.8986
_cell_angle_alpha 90.00
_cell_angle_beta 90.00
_cell_angle_gamma 120.00
_space_group_name_H-M_alt 'R 3 2'
_space_group_IT_number 155
_space_group_name_Hall 'R 3 2"'
loop_
_atom_site_label
_atom_site_fract_x
_atom_site_fract_y
_atom_site_fract_z
La1 0.0000 0.2542 0.0000
La2 0.0000 0.4961 0.0000
La3 0.0806 0.1654 0.6620
Sn1 0.0000 0.0000 0.5000
Sn2 0.0000 0.2497 0.5000
Br1 0.0000 0.5008 0.5000
Br2 0.0000 0.7497 0.5000
Br3 0.0828 0.9162 0.1651
```

***

3.
Diffraction record for Li2YMg2Cd2. The powder diffraction line list is theoretical, not measured: it uses a PBE-relaxed structure and Cu Kα (weighted mean of Kα1 and Kα2).
No peak broadening, texture or thermal motion is included.

Most intense lines, 2θ from 10° to 90°, low angle first:
| 2θ (°) | I/Imax | (hkl) |
| --- | --- | --- |
| 12.3 | 100.0 | 0 0 1 |
| 22.3 | 17.7 | 1 1 -1 |
| 26.4 | 74.7 | 1 1 1 |
| 26.5 | 37.9 | 2 0 -2 |
| 35.6 | 63.4 | 1 1 2 |
| 35.9 | 30.6 | 2 0 -3 |
| 36.1 | 73.2 | 3 1 -1 |
| 36.2 | 36.3 | 0 2 0 |
| 38.3 | 24.2 | 0 2 1 |
| 51.9 | 20.6 | 2 2 -3 |
| 59.3 | 18.0 | 5 1 -3 |
| 64.9 | 22.3 | 3 3 -1 |

Structural model:
```
data_Li2YMg2Cd2
*/
Here the entry continues =

He just looked at her, mentally preparing for the worst.

“I have something to tell you,” she continued.

He stopped at the foot of the bed and stared down at her.